Echinopora forskaliana, a Rare and Unique Coral from the Red Sea

Echinopora forskaliana is an uncommon species of stony coral that we’d never heard of other than seeing it in passing in Veron’s Corals of the World. But now thanks to a pair of great photographs by Andrey Ryanskiy we can…

Starfishes and Other Echinoderms Book Review

Of all the highly diverse groups of animals that occur on natural reefs, the echinoderms are some of the most unique but also the least represented in our home reef aquariums. We have a basic understanding of starfish, urchins, and…

Killer Robot Hunts Down Crown of Thorns Starfish

Killer Robots may be the trope of science fiction stories and movies and there are legitimate concerns that a superhuman artificial intelligence or ‘singularity’ might be a danger in the future but today we can use them to do our…

Paracorynactis Ball Tentacle ‘Anemone’ is a Starfish Killer!

The Ball tentacle Anemone is a very unusual tropical reef cnidarian that has a more than few interesting things going for it. You would think that such an attractive critter would be a popular aquarium candidate but there are some…

What Eats the Crown-of-Thorns Starfish? The Answer is Found in Fish Poop.

# Someone pasted records of crystals at this point
- - -
Version w
# Na3PuO4, optimized geometry, DFT PBE-GGA
data_Na3PuO4
_chemical_formula_sum 'Na6 Pu2 O8'
_symmetry_space_group_name_H-M 'I -4 2 m'
_symmetry_Int_Tables_number 121
_symmetry_space_group_name_Hall 'I -4 2'
_cell_length_a 5.833
_cell_length_b 5.833
_cell_length_c 7.556
_cell_angle_alpha 90.00
_cell_angle_beta 90.00
_cell_angle_gamma 90.00
loop_
_atom_site_label
_atom_site_type_symbol
_atom_site_fract_x
_atom_site_fract_y
_atom_site_fract_z
Na1 Na 0.000 0.000 0.000
Na2 Na 0.000 0.500 0.250
Pu1 Pu 0.000 0.000 0.500
O1 O 0.225 0.225 0.393
# - Crystal system: tetragonal
# - Calculated volume: 16.068 A^3/atom

Version x
# Na3PuO4, optimized geometry, DFT PBE-GGA
data_Na3PuO4
_chemical_formula_sum 'Na6 Pu2 O8'
_symmetry_space_group_name_H-M 'C m m m'
_symmetry_Int_Tables_number 65
_symmetry_space_group_name_Hall '-C 2 2'
_cell_length_a 6.766
_cell_length_b 9.468
_cell_length_c 3.433
_cell_angle_alpha 90.00
_cell_angle_beta 90.00
_cell_angle_gamma 90.00
loop_
_atom_site_label
_atom_site_type_symbol
_atom_site_fract_x
_atom_site_fract_y
_atom_site_fract_z
Na1 Na 0.000 0.000 0.000
Na2 Na 0.250 0.250 0.500
Pu1 Pu 0.000 0.500 0.000
O1 O 0.000 0.290 0.000
O2 O 0.221 0.500 0.500
# - Crystal system: orthorhombic
# - Calculated volume: 13.747 A^3/atom

Least stable structure: version w


No. 1
Computed, not measured: Cu2AgO4 after structural relaxation at the PBE-GGA level of DFT.

Computed properties:
Space-group type: No. 2
Calculated volume, Å³/cell: 94.5
M_tot, μB per atom: 0.000
VASP energy, eV/atom: -4.744
Relative energy among the computed polymorphs, meV/atom: 0.0
Energy relative to the elements, uncorrected, meV/atom: -333

Unit cell a=4.1312 b=4.3353 c=5.3351 alpha=87.57 beta=88.37 gamma=81.92
Closest atoms and distances in Å follow each position.
Sites, in units of the cell vectors:
1 Cu 0.0000 0.5000 0.5000  4 O 1.86
2 Cu 0.5000 0.0000 0.5000  4 O 1.85
3 Ag 0.0000 0.0000 0.0000  4 O 2.12
4 O 0.2571 0.2499 0.7301  2 Cu 1.85-1.86
5 O 0.7724 0.7671 0.7281  2 Cu 1.85-1.86
6 O 0.7429 0.7501 0.2699  2 Cu 1.85-1.86
7 O 0.2276 0.2329 0.2719  2 Cu 1.85-1.86

=====

No. 2
Computed, not measured: CuAg5O4 after structural relaxation at the PBE-GGA level of DFT.

Computed properties:
Space-group type: No. 59
Calculated volume, Å³/cell: 293.0
M_tot, μB per atom: 0.000
VASP energy, eV/atom: -3.839
Energy relative to the elements, uncorrected, meV/atom: -20

Unit cell a=4.6043 b=7.2386 c=8.7902 alpha=90.00 beta=90.00 gamma=90.00
Closest atoms and distances in Å follow each position.
Sites, in units of the cell vectors:
1 Cu 0.7514 0.0000 0.0000  4 O 1.89-1.94
2 Cu 0.2486 0.5000 0.5000  4 O 1.89-1.94
3 Ag 0.2544 0.7977 0.8376  3 O 2.29-2.48
4 Ag 0.2544 0.2023 0.8376  3 O 2.29-2.48
5 Ag 0.9139 0.5000 0.0000  2 O 2.22
6 Ag 0.2544 0.7977 0.1624  3 O 2.29-2.48
7 Ag 0.2544 0.2023 0.1624  3 O 2.29-2.48
8 Ag 0.7456 0.7023 0.3376  3 O 2.29-2.48
9 Ag 0.7456 0.2977 0.3376  3 O 2.29-2.48
10 Ag 0.0861 0.0000 0.5000  2 O 2.22
11 Ag 0.7456 0.2977 0.6624  3 O 2.29-2.48
- - -

Crown-of-thorn starfish are coral-eating predators that can have more than a dozen legs and grow to 30 inches across. The starfish gets its name from the toxic thorn-like spines covering its body, which resemble a biblical “crown of thorns”. In…

Aquatic Technology Also Raises Captive Bred Hawaiian Harlequin Shrimp

The Harlequin shrimp is one of the most fascinating crustaceans which is also great for even the smallest of nano reef tanks. As long as you can get past the part where they need to be fed starfish – it’s…

Watch a Crown-of-Thorns starfish get annihilated by giant snail

The Australian Institute of Marine Sciences is exploring using biological controls to help keep outbreaks of the coral-eating Crown-of-Thorns Starfish (COTS) in check on the Great Barrier Reef. Sadly, COTS and cyclones are responsible for more than half of all…

Asterina starfish, an introduction to this common reef aquarium critter

Have you ever wondered what that itsy bitsy starfish is doing in your tank? The sneaky starfish probably hitchhiked its way in on some live rock or new coral, but now there are dozens of small grayish starfish roaming your tank. It’s…

What you should know about the Crown-of-Thorns starfish

Acanthaster planci, more commonly known as the Crown-of-Thorn starfish, is a voracious predator which feeds on stony coral polyps. The starfish gets its name from the toxic thorn-like spines covering its body, which resemble a biblical “crown of thorns”. The…

COTSbot seeks and destroys invasive Crown of Thorn starfish

The Crown of Thorns starfish (COTS) has been a destructive force on reefs for years. They eat coral and reproduce like mad. Humans have been fighting this creature and now have a new robotic “terminator” helping with the cause. Researchers…